Russia might “help” … : The FBI might be a better choice

Dear Donald,

I realize you respect the capability of Russian hackers. But before you ask for Russian help I’d asking the US FBI first.  They have been very effective art retrieving previously detailed emails, either by recovering them directly from the server or rebuilding them from the inevitable trip emails leave.

In fact the FBI is so adept at doing this that they’ve already done so.  As mentioned in the FBI Director’s details on the investigation they recovered and rebuilt the deleted emails. I don’t think they need help from Russia but I’m sure they appreciate you looking after them…

All the best,

The Political Madman

Grow Some Balls : Choosing an American view of Manhood

Troll vs Superhero


It’s been a while, but as a boy growing up in America I understood what manhood was.  For this was a man with real values who followed the golden rule, “do onto others as you would have them do onto you”.  A person who could inspire people to work together and achieve great things.

The ideal American man for me has strong character, who doesn’t shy away from hard work or doing the right thing.  He has the balls to admit when he is wrong (and we’re all wrong at some point).  He seeks and values the truth, even when the truth is different than he desires. He shows respect for everyone, valuing and acknowledging different opinions. All while passionately and respectfully defending his point of view even when his view is not popular.

Today, American manhood doesn’t seem so clear to me.  Sadly I see too many examples of “Trolls” vying for popularity and somehow seen as bastions of manhood. These are are vindictive people simply attacking other points of view for sport. They’re seemingly driven only by a need to attract an audience.  With no regard for truth trolls simply thrive on belittling and bullying those around them.  Trolls trade on rudeness and disrespect to promote the idea anyone who doesn’t agree with them somehow “lesser” and targeted.  Too often the troll takes this to the extreme suggesting their  targets be ignored, locked up or worse.  The easiest way to spot them is the use of name calling.

Most sickening these trolls collect an audience to cheer them on while tearing things down.  And, then defend themselves by labeling any detractors as “Politically Correct”.  Often using this name calling as a battle cry to create even more vindictiveness. Basically stirring up their own audience to shut down any real thought.  The irony of this would be comical except it seems amazingly effective.

To reclaim American manhood we need to ignore the trolls in life. Starve them of the audience they crave.  Support people with the strength to respect their fellow Americans with differing points of view.  We need people with the wisdom to seek out other ideas.  And the balls to seek the truth even if it means admitting sometimes they are wrong.

An American Madman has spoken…

Blow Harder!!!

I sit here in a bar eating a light dinner, imagining a convention season will be interesting, illuminating maybe even a bit humorous. But somehow it always manages to just be a time when the naiveté of my patriotism gets massacred.

I believe strongly in a system where the different points of view held by Americans that all love our country can focus on real problems. I know well enough that posturing and politics and blow hards all work to get our attention. And the conventions are the blow hardest moments for all the blow hards in our political process.

I long for a convention that focuses on identifying the challenges before us and weighing who the differing points of view really compare. One where a platform that inspires all of us. But this takes talking about the myriad of approaches and really understanding many of then have merits. But instead we get a bunch of people talking as if there are only two points of view and that somehow their “opponent” is crazy, corrupt, incompetent, self-absorbed, or just simple buffoonery. At both major conventions it my longing simply won’t matter.

The fact of the matter is we are all Americans, we all share this country its burdens and its benefits. We are a strong country but only if we always work to make our politicians work to focus on what they can do rather than who they can take down. But in the end the conventions are what they are and will try to make America weaker…

A Madman Has Spoken…

Misplaced records of crystals:
1.
VASP calculation (GGA-PBE) on a relaxed AsIrSe2N crystal.

Cell: 4.2758 4.2758 4.2725 Å, 90.00 90.00 90.00°
Fractional positions:
As 0.0000 0.0000 0.0000
Ir 0.5000 0.5000 0.0000
Se 0.0000 0.5000 0.5000
Se 0.5000 0.0000 0.5000
N 0.0000 0.0000 0.5000

Values from the calculation:
For the energy above the most stable polymorph in this dataset, the calculation gives 2.88 eV/f.u. For the total magnetic moment, the calculation gives 0.00 Bohr magnetons per cell.



2.
VASP calculation (GGA-PBE) on a relaxed AsIrSe2N crystal.

Cell: 5.1075 5.1075 3.6660 Å, 90.00 90.00 90.00°
Fractional positions:
As 0.0000 0.0000 0.0000
Ir 0.5000 0.5000 0.5000
Se 0.0000 0.5000 0.5000
Se 0.5000 0.0000 0.5000
N 0.5000 0.5000 0.0000

Values from the calculation:
For the energy above the most stable polymorph in this dataset, the calculation gives 0.00 eV/f.u. For the total magnetic moment, the calculation gives 0.00 Bohr magnetons per cell.



3.
VASP calculation (GGA-PBE) on a relaxed AsIrSe2N crystal.

Cell: 5.0479 5.0479 3.4476 Å, 90.00 90.00 90.00°
Fractional positions:
As 0.0000 0.0000 0.0000
Ir 0.5000 0.5000 0.5000
Se 0.0000 0.5000 0.0000
Se 0.5000 0.0000 0.0000
N 0.0000 0.0000 0.5000

Values from the calculation:
For the energy above the most stable polymorph in this dataset, the calculation gives 3.90 eV/f.u. For the total magnetic moment, the calculation gives 0.00 Bohr magnetons per cell.



4.
VASP calculation (GGA-PBE) on a relaxed As2IrSeN crystal.

Cell: 4.2285 4.2285 4.2988 Å, 90.00 90.00 90.00°
Fractional positions:
As 0.0000 0.5000 0.0000
As 0.5000 0.0000 0.0000
Ir 0.0000 0.0000 0.5000
Se 0.5000 0.5000 0.5000
N 0.5000 0.5000 0.0000

Values from the calculation:
For the energy above the most stable polymorph in this dataset, the calculation gives 0.00 eV/f.u. For the total magnetic moment, the calculation gives 0.00 Bohr magnetons per cell.



5.
VASP calculation (GGA-PBE) on a relaxed AsIrSeN2 crystal.

Cell: 3.7223 3.7223 8.4626 Å, 90.00 90.00 90.00°
Fractional positions:
As 0.0000 0.0000 0.0000
Ir 0.5000 0.5000 0.5000
Se 0.5000 0.5000 0.0000
N 0.0000 0.5000 0.5000
N 0.5000 0.0000 0.5000

Values from the calculation:
For the energy above the most stable polymorph in this dataset, the calculation gives 0.00 eV/f.u. For the total magnetic moment, the calculation gives 0.24 Bohr magnetons per cell.



6.
VASP calculation (GGA-PBE) on a relaxed Sr2AsIrN crystal.

Cell: 6.7088 4.0378 9.1721 Å, 90.00 110.82 90.00°
Fractional positions:
Sr 0.2113 0.2500 0.3827
Sr 0.2179 0.2500 0.9697
Sr 0.7821 0.7500 0.0303
Sr 0.7887 0.7500 0.6173
As 0.2945 0.7500 0.7044
As 0.7055 0.2500 0.2956
Ir 0.4903 0.7500 0.2553
Ir 0.5097 0.2500 0.7447
N 0.1863 0.7500 0.1693
N 0.8137 0.2500 0.8307

Values from the calculation:
For the energy above the most stable polymorph in this dataset, the calculation gives 0.10 eV/f.u. For the total magnetic moment, the calculation gives 0.00 Bohr magnetons per cell.



7.
VASP calculation (GGA-PBE) on a relaxed Sr2AsIrN crystal.

At Risk Lives Matter…

SKPWhen Mr. Giuliani said “When you say black lives matter, that’s inherently racist,” he is really being an idiot. There are far too many videos capturing cases where black lives are being ended without a clear need. It sickens me to my core that my fellow americans are being treated this way. The deaths of police officers is also sickening, and simply immoral. And in both cases it is a small group of bad apples screwing up the lives of so many people.

Here the entry breaks off for materials data =
- - -
Record 1
Computed, not measured: an optimized crystal structure of NiGe3H at the PBE-GGA level of DFT.

Cell: 4.5459 4.5459 4.5459 Å, 90.00 90.00 90.00°
Atoms (fractional coordinates):
Ni: 0.0000 0.0000 0.0000
Ge: 0.0000 0.0000 0.5000
Ge: 0.0000 0.5000 0.0000
Ge: 0.5000 0.0000 0.0000
H: 0.5000 0.5000 0.5000

Output
Final energy = -19.92 eV/cell
SG = No. 221
Total moment = 0.0 Bohr magnetons per cell
Energy above the most stable polymorph in this dataset = 0.720 eV/f.u.

***

Record 2
Computed, not measured: an optimized crystal structure of NaAsF6 at the PBE-GGA level of DFT.

Cell: 5.6808 5.6808 5.6808 Å, 55.06 55.06 55.06°
Atoms (fractional coordinates):
Na: 0.0000 0.0000 0.0000
As: 0.5000 0.5000 0.5000
F: 0.1576 0.7080 0.4208
F: 0.2920 0.5792 0.8424
F: 0.4208 0.1576 0.7080
F: 0.5792 0.8424 0.2920
F: 0.7080 0.4208 0.1576
F: 0.8424 0.2920 0.5792

Output
Final energy = -36.22 eV/cell
Formation energy (no corrections) = -2.378 eV/atom
SG = No. 148
Total moment = 0.0 Bohr magnetons per cell

***

Record 3
Computed, not measured: an optimized crystal structure of PmUNiRu at the PBE-GGA level of DFT.

Cell: 4.8258 4.8258 4.8258 Å, 60.00 60.00 60.00°
Atoms (fractional coordinates):
Pm: 0.0000 0.0000 0.0000
U: 0.5000 0.5000 0.5000
Ni: 0.2500 0.2500 0.2500
Ru: 0.7500 0.7500 0.7500

Output
Final energy = -31.28 eV/cell
Energy of formation from the pure elements = -0.05 eV per atom
SG = No. 216
Total moment = 2.3 Bohr magnetons per cell

***

Record 4
Computed, not measured: an optimized crystal structure of Tb3Y8Ho3 at the PBE-GGA level of DFT.

Cell: 9.6378 9.6378 9.6378 Å, 146.01 112.10 78.15°
Atoms (fractional coordinates):
Tb: 0.0000 0.0000 0.0000
Tb: 0.2993 0.0000 0.2993
Tb: 0.7007 0.0000 0.7007
Y: 0.0552 0.3963 0.6589
Y: 0.0640 0.2222 0.8418
Y: 0.2626 0.6037 0.6589
Y: 0.3805 0.2222 0.1582
Y: 0.6195 0.7778 0.8418
Y: 0.7374 0.3963 0.3411
Y: 0.9360 0.7778 0.1582
Y: 0.9448 0.6037 0.3411
Ho: 0.3186 0.8186 0.5000
Ho: 0.5000 0.5000 0.0000
Ho: 0.6814 0.1814 0.5000

Output
Final energy = -77.57 eV/cell
Energy of formation from the pure elements = 0.13 eV per atom
SG = No. 71
Total moment = 0.0 Bohr magnetons per cell
Energy above the most stable polymorph in this dataset = 0.062 eV/f.u.

***

Record 5
Computed, not measured: an optimized crystal structure of CoAgRu2 at the PBE-GGA level of DFT.

Cell: 4.8108 4.8108 4.8108 Å, 134.26 134.26 66.67°
Atoms (fractional coordinates):
Co: 0.0000 0.0000 0.0000
Ag: 0.5000 0.5000 0.0000
Ru: 0.2500 0.7500 0.5000
Ru: 0.7500 0.2500 0.5000

Output
Final energy = -26.22 eV/cell
Energy of formation from the pure elements = 0.57 eV per atom
SG = No. 139
Total moment = 0.9 Bohr magnetons per cell

***

Record 6
Computed, not measured: an optimized crystal structure of Hf6ReOs at the PBE-GGA level of DFT.

Cell: 8.0994 8.0994 8.0994 Å, 146.77 146.77 47.70°
Atoms (fractional coordinates):
Hf: 0.1079 0.6079 0.5000
Hf: 0.2483 0.2483 0.0000
Hf: 0.3921 0.8921 0.5000
Hf: 0.6079 0.1079 0.5000
Hf: 0.7517 0.7517 0.0000
- - -

The majority of police officers are doing a very difficult job justly and well, and they are a vital part of their communities. Likewise the majority of protesters are trying to bring attention and action to a critical systemic issue peacefully; playing another vital role in the community.

The horrific attack on police officers in Dallas does so much damage. But using it as a potential excuse does all the lost lives a disservice. We must do the hard work to remove racism in policing. And at the same time we must keep our officers safe. Of course it is true #alllives matter but in our society today it is critical to emphasize that #blacklivesmatter and #bluelivesmatter because sadly those lives are most at risk. Recognizing that some lives are more at risk is not racism it is simply not burying your head in the sand.

Somehow all of us need to realize #blackandbluelivesmatter and to work toward the communication, transparency and respect to fight this continuing string to tragedies.

Sometimes Winning is Not Enough

PM-KnorWe’re already getting to the point where Brexit is old news, except for the part where no one knows what’s really going to happen…

In reality there is no way to predict if the vote was the right or wrong thing for the UK. To be honest it’s just the starting point. The outcome depends far too much on really hard work simply not yet done. And after that work is done it actually might not have mattered which way the vote went. So when Mr Trump praised Boris Johnson for having “got it right” on Brexit he was well, … let’s call it “confused”.

Its an all too common confusion, simply mistaking winning for “getting it right”. In a democracy this confusion is really important to understand. It is simply a tool that pundits use to validate their narrative, sadly showing complete disregard far what is actually best. The real damage is the overconfidence in a simple election result which stops critical thinking and working toward better solutions. Especially in a case like this where the “right” answer really is a path yet to be worked out.

We all want to have our point of view prevail. But no matter how happy or sad we are after an election it is vital to always look for the better path forward after those results come in. Because while there is often not a simple right or wrong answer there is always a way to make things better. But making things better requires cutting through the BS….

A Madman has spoken…